Traveling in Hornstrandir

**Data records that have nothing to do with the page:**
<<<
Computed, not measured: RbAc2CrO5 after structural relaxation at the GGA+U level of DFT.

Calculated values
Volume = 17.292 Å³/atom
Uncorrected energy = -7.10 eV per atom
SG = P4/mbm

```
RbAc2CrO5
1.0
7.214 0.000 0.000
0.000 7.214 0.000
0.000 0.000 5.981
Rb Ac Cr O
2 4 2 10
Direct
0.000 0.000 0.000
0.500 0.500 0.000
0.182 0.318 0.500
0.318 0.818 0.500
0.682 0.182 0.500
0.818 0.682 0.500
0.000 0.500 0.000
0.500 0.000 0.000
0.000 0.000 0.500
0.128 0.628 0.237
0.128 0.628 0.763
0.372 0.128 0.237
0.372 0.128 0.763
0.500 0.500 0.500
0.628 0.872 0.237
0.628 0.872 0.763
0.872 0.372 0.237
0.872 0.372 0.763
```

=====

1.
{"formula": "Pa2B10Os", "functional": "GGA-PBE", "state": "optimized geometry", "lattice": [[5.665, 0.000, 0.000], [0.000, 11.326, 0.000], [0.000, 0.000, 4.145]], "species": ["Pa", "Pa", "Pa", "Pa", "B", "B", "B", "B", "B", "B", "B", "B", "B", "B", "B", "B", "B", "B", "B", "B", "B", "B", "B", "B", "Os", "Os"], "fractional_positions": [[0.215, 0.133, 0.000], [0.285, 0.633, 0.000], [0.715, 0.367, 0.000], [0.785, 0.867, 0.000], [0.058, 0.306, 0.500], [0.117, 0.958, 0.500], [0.131, 0.803, 0.500], [0.221, 0.380, 0.197], [0.221, 0.380, 0.803], [0.279, 0.880, 0.197], [0.279, 0.880, 0.803], [0.369, 0.303, 0.500], [0.383, 0.458, 0.500], [0.442, 0.806, 0.500], [0.558, 0.194, 0.500], [0.617, 0.542, 0.500], [0.631, 0.697, 0.500], [0.721, 0.120, 0.197], [0.721, 0.120, 0.803], [0.779, 0.620, 0.197], [0.779, 0.620, 0.803], [0.869, 0.197, 0.500], [0.883, 0.042, 0.500], [0.942, 0.694, 0.500], [0.000, 0.500, 0.500], [0.500, 0.000, 0.500]], "delta_e_f_ev_per_atom": -0.50, "space_group": "No. 55", "vol_a3_per_cell": 265.96}

2.
{"formula": "BeAuN3", "functional": "GGA-PBE", "state": "optimized geometry", "lattice": [[4.040, 0.000, 0.000], [0.000, 4.040, 0.000], [0.000, 0.000, 4.040]], "species": ["Be", "Au", "N", "N", "N"], "fractional_positions": [[0.000, 0.000, 0.000], [0.500, 0.500, 0.500], [0.000, 0.500, 0.500], [0.500, 0.000, 0.500], [0.500, 0.500, 0.000]], "space_group": "No. 221", "vol_a3_per_cell": 65.93, "formation_energy_uncorrected_ev_per_atom": 2.67}

3.
{"formula": "Cu4RhAu", "functional": "GGA-PBE", "state": "optimized geometry", "lattice": [[0.000, 3.417, 3.417], [3.417, 0.000, 3.417], [3.417, 3.417, 0.000]], "species": ["Cu", "Cu", "Cu", "Cu", "Rh", "Au"], "fractional_positions": [[0.125, 0.125, 0.125], [0.125, 0.125, 0.624], [0.125, 0.624, 0.125], [0.624, 0.125, 0.125], [0.500, 0.500, 0.500], [0.750, 0.750, 0.750]], "delta_e_f_ev_per_atom": 0.06, "space_group": "No. 216", "e_above_lowest_polymorph_mev_per_atom": 29.8, "vol_a3_per_cell": 79.78}

=====

1.
Material: Zn2FeSe
Method: DFT, meta-GGA SCAN
State: PBEsol geometry

a = 2.9719 Å, b = 2.9719 Å, c = 8.0118 Å
α = 79.31°, β = 79.31°, γ = 60.00°
Last column: magnetic moment on the atom in μB.
Atoms (fractional coordinates):
Zn 0.7566 0.7566 0.7302  -0.05
Zn 0.0050 0.0050 0.9850  0.00
Fe 0.5037 0.5037 0.4888  2.19
Se 0.2347 0.2347 0.2960  -0.13

Computed properties:
Volume in Å³/cell: 60
>>>

Hornstrandir Nature Reserve attracts many traveling nature lovers each year and you can choose between traveling in a guided group or doing an independent hike. If you decide to travel on your own, without a guide, you need to understand it is done on your own responsibility. The infrastructure of the area is close to none existing and before the travel starts you need to check the weather and hiking conditions very well. You are responsible for getting all the pieces of information you need and to have good enough gear to handle all weather conditions known in the area. If you need to change your plans in the middle of your hike it can be dangerous, costly, and difficult.  If you're planning on hiking in the Hornstrandir area for a long period of time and more importantly on your own, we strongly recommend you go to and submit your travel plan(s).  

Here is a video we kindly ask you to watch:


How to get to Hornstrandir

We arrange boat tickets to and from Hornstrandir for independent trekkers. It's possible to get there with a regularly scheduled boat from the end of May to the mid of September, but we usually suggest the period from mid-June to mid-August.

Sjóferðir ferry scheduleBorea ferry schedule


OFFICIAL Rules when traveling in Hornstrandir nature reserve


  • Do not leave anything behind after your visit. This means that all rubbish must be carried back. Don‘t build cairns, rearrange stones or disturb the landscape in any way. Leave the area in the same condition as it was upon arrival. Do not remove stones, bones, driftwood, or anything else you might encounter. 
  • Use footpaths whenever possible. If it proves necessary to leave the footpath, watch where you step and try to protect the vegetation. Only use walking poles where necessary.
  • There are limits to the size of tour groups. The maximum is 30 on the western side and 15 on the eastern side.
  • Only pitch tents in designated campgrounds. All campgrounds have toilets/privies nearby. Due to vegetation protection, camping is only permitted on designated campgrounds for one week at a time. After that, the tent must be moved or removed. 
  • Guests within the area are encouraged to use privies/toilets in the area whenever possible. Hygiene products should not be left out in the open.
  • Handle stoves and other cooking equipment. Campfires are banned within the nature preserve.
  • Do not disturb birds or animals unnecessarily. If you find yourself near a bird's nest or animal habitat, keep noise to a minimum.
  • Respect the fox. Stay at least 40 meters away from foxholes and try not to linger more than 20 minutes by a foxhole. If one needs to pass by a foxhole, it must be done quickly and as silently as possible and not stop until 40 meters away. Avoid getting in between the vixen and her cubs. Do not feed the foxes. 
  • Respect the privacy of homeowners in the area. Keep away from their homes. Do not peek at the windows and do not enter homes uninvited. 
  • Dogs are not allowed in the area, except that land- and homeowners are allowed to bring their dogs. Dogs must always be kept on a leash.
  • Bicycling is not allowed in the nature preserve. 
  • Drones are forbidden, unless with a permit from the Environment Agency.